Brief =
Could you count the lines underneath that contain the word "The" and give the number alone?

File =
Simulated XRD peak list of Li3MnVP3O12 for λ = 1.5418 Å (Cu Kα), from a DFT-relaxed cell (PBE+U, the Materials Project).
Kinematic intensities with the Lorentz-polarization factor, no thermal factor.

a b c (Å): 8.4958 8.4958 22.7696
angles (deg): 90.00 90.00 120.00
Space group R3 (No. 146, hexagonal axes)
Asymmetric unit:
Li  0.0216  0.3861  0.0000 x9
Li  0.0436  0.6949  0.9010 x9
Mn  0.0000  0.0000  0.4311 x3
Mn  0.0000  0.0000  0.6334 x3
V  0.0000  0.0000  0.1367 x3
V  0.0000  0.0000  0.9351 x3
P  0.0400  0.3701  0.2005 x9
P  0.0477  0.6677  0.7010 x9
O  0.0060  0.2050  0.4775 x9
O  0.0074  0.8150  0.0919 x9
O  0.0426  0.8267  0.3727 x9
O  0.0903  0.8586  0.9834 x9
O  0.0908  0.5598  0.3522 x9
O  0.1749  0.4552  0.8591 x9
O  0.1784  0.4142  0.2519 x9
O  0.1925  0.4391  0.5535 x9

The 10 most intense peaks (10 to 80 degrees two-theta), by angle:
d_spacing	two_theta	I (rel.)	h k l
6.179	14.33	68	0 1 2
4.502	19.72	65	1 0 4
3.707	24.01	100	2 -1 3
3.090	28.90	45	0 2 4
2.830	31.61	72	2 -1 6
2.760	32.43	17	2 1 1
2.453	36.64	19	3 0 0
2.334	38.58	17	3 0 3
1.853	49.16	17	4 -2 6
1.762	51.90	20	3 -1 10

Simulated XRD peak list of Li4Mn3VP4O16 for λ = 1.5418 Å (Cu Kα), from a DFT-relaxed cell (PBE+U, the Materials Project).
Kinematic intensities with the Lorentz-polarization factor, no thermal factor.

a b c (Å): 4.790 6.170 10.559
angles (deg): 90.00 90.03 90.00
Space group Pm (No. 6)
Asymmetric unit:
Li  0.000  0.249  0.000 x2
Li  0.500  0.251  0.500 x2
Mn  0.027  0.500  0.279 x1
Mn  0.472  0.500  0.781 x1
Mn  0.973  0.000  0.719 x1
V  0.523  0.000  0.222 x1
P  0.091  0.000  0.406 x1
P  0.411  0.000  0.908 x1
P  0.591  0.500  0.091 x1
P  0.911  0.500  0.591 x1
O  0.211  0.000  0.543 x1
O  0.226  0.201  0.337 x2
O  0.231  0.500  0.595 x1
O  0.270  0.500  0.095 x1
O  0.277  0.200  0.839 x2
O  0.291  0.000  0.045 x1
O  0.713  0.500  0.954 x1
O  0.724  0.299  0.160 x2
O  0.732  0.000  0.903 x1
O  0.770  0.000  0.402 x1
O  0.777  0.299  0.660 x2
O  0.789  0.500  0.454 x1

The 10 most intense peaks (10 to 80 degrees two-theta), by angle:
d_spacing	two_theta	I (rel.)	h k l
5.280	16.79	23	0 0 2
4.362	20.36	56	1 0 1
4.012	22.16	23	0 1 2
3.562	25.00	68	1 1 -1
3.084	28.96	76	0 2 0
2.577	34.81	100	1 1 -3
2.519	35.64	30	1 2 1
1.781	51.31	41	2 2 -2
1.665	55.16	24	1 3 -3
1.529	60.56	28	0 2 6

=====

Structure and calculated PXRD pattern of PrY2P3 (a structure optimized by DFT (GGA-PBE); Cu Ka).
Peak positions follow from Bragg's law for the DFT cell and can differ from measured ones.

Structural model:
Lattice parameters (Å, degrees): 4.0761 4.0761 9.9759 90.00 90.00 120.00
Space group P-3m1 (No. 164)
Asymmetric unit:
Pr 0.0000 0.0000 0.0000 x1
Y 0.3333 0.6667 0.3380 x2
P 0.0000 0.0000 0.5000 x1
P 0.3333 0.6667 0.8237 x2

Most intense lines, 2θ from 15° to 90°, by angle:
| h k l | two_theta | I_rel |
| --- | --- | --- |
| 0 0 3 | 26.8 | 61 |
| 1 0 2 | 31.0 | 100 |
| 1 1 0 | 44.5 | 71 |
| 1 0 5 | 52.7 | 28 |
| 0 2 2 | 55.2 | 25 |
| 0 1 7 | 71.3 | 12 |
| 2 1 2 | 73.5 | 31 |
| 3 0 0 | 81.9 | 23 |

=====

(1)
Calculated powder X-ray diffraction pattern of LuGa2Ni3 for CuKα, from DFT lattice parameters and positions (GGA-PBE).
No peak broadening, texture or thermal motion is included.

Cell and atoms:
a = 8.6970 Å, b = 8.6970 Å, c = 4.0656 Å
α = 90.00°, β = 90.00°, γ = 120.00°
Fractional positions:
Lu 0.0000 0.0000 0.0000
Lu 0.3333 0.6667 0.5000
Lu 0.6667 0.3333 0.5000
Ga 0.0000 0.2709 0.5000
Ga 0.0000 0.5146 0.0000
Ga 0.2709 0.0000 0.5000
Ga 0.4854 0.4854 0.0000
Ga 0.5146 0.0000 0.0000
Ga 0.7291 0.7291 0.5000
Ni 0.0000 0.7044 0.5000
Ni 0.1765 0.3725 0.0000
Ni 0.1960 0.8235 0.0000
Ni 0.2956 0.2956 0.5000
Ni 0.3725 0.1765 0.0000
Ni 0.6275 0.8040 0.0000
Ni 0.7044 0.0000 0.5000
Ni 0.8040 0.6275 0.0000
Ni 0.8235 0.1960 0.0000

Principal peaks in the range 10° ≤ 2θ ≤ 90°, by angle:
d [Å]  2θ/deg  I/Imax
3.578  24.9  24
2.763  32.4  73
2.511  35.8  42
2.332  38.6  100
2.174  41.5  61
2.136  42.3  66
2.033  44.6  50
1.917  47.4  27
1.580  58.4  21

Worked solution =
2